Accept international credit cards, price in multiple currencies. Target new markets and close more sales.

Multi-Currency Processing is available for retail, restaurant, hospitality and e-commerce merchants.

Quantum chemistry results, as found in the file =
This record from the Open Molecules 2025 dataset describes C27H44O3 in the gas phase. The level of theory is ωB97M-V/def2-TZVPD.

CARTESIAN COORDINATES (ANGSTROEM)
C: -3.974540 -2.245682 1.260191
C: -5.000414 -1.780309 0.559547
C: -5.354347 -0.352926 0.505230
C: -4.507860 0.624336 0.144104
C: -3.146506 0.418935 -0.279939
C: -2.225609 1.363575 -0.505510
C: -0.825548 1.069506 -0.946051
C: -0.393845 -0.355907 -1.261773
H: -0.755334 -1.046546 -0.501672
H: -0.769127 -0.691892 -2.227901
C: 1.141497 -0.275619 -1.232213
H: 1.542195 -0.311477 -2.245162
H: 1.556838 -1.120268 -0.682482
C: 1.524164 1.061823 -0.545111
H: 1.768272 1.796441 -1.321787
C: 2.772669 0.910239 0.342808
C: 3.130482 2.203293 1.074206
H: 2.410890 2.429561 1.854183
H: 3.165421 3.038559 0.377760
H: 4.104458 2.112891 1.547675
H: 2.586105 0.129037 1.085482
C: 3.967892 0.468605 -0.520286
C: 5.118881 -0.110852 0.302869
H: 4.746559 -0.927196 0.921592
H: 5.548826 0.652851 0.950916
C: 6.235839 -0.673454 -0.582950
O: 6.993703 0.350287 -1.194672
H: 6.378108 0.954617 -1.621910
H: 5.776792 -1.311111 -1.356953
C: 7.215721 -1.572094 0.206047
C: 7.929236 -0.781816 1.306698
H: 8.354527 0.121634 0.881195
H: 8.728632 -1.379006 1.741668
H: 7.228335 -0.516089 2.093586
C: 8.246002 -2.159062 -0.763816
H: 8.765119 -1.352594 -1.271310
H: 8.970377 -2.768913 -0.226384
H: 7.745454 -2.779753 -1.503523
O: 6.422965 -2.609053 0.766015
H: 7.015314 -3.219232 1.219292
H: 4.310614 1.332233 -1.098526
H: 3.645649 -0.296011 -1.227514
C: 0.203883 1.525467 0.119864
C: -0.039526 0.803082 1.447022
H: 0.500001 1.289247 2.256090
H: 0.289569 -0.229867 1.393704
H: -1.098859 0.803392 1.692111
C: 0.043487 3.039664 0.283477
H: 0.715382 3.428839 1.047483
C: -1.391120 3.405946 0.667338
H: -1.610440 3.025812 1.666190
H: -1.486957 4.493862 0.702154
C: -2.419616 2.842345 -0.319884
H: -3.421279 3.077777 0.036265
H: -2.283441 3.334998 -1.288384
H: 0.297300 3.529173 -0.660939
H: -0.635777 1.675746 -1.842307
H: -2.872983 -0.615415 -0.434801
H: -4.882409 1.639559 0.142009
C: -6.791782 -0.071021 0.848228
H: -6.981418 -0.341794 1.890556
C: -7.723043 -0.901834 -0.048495
C: -7.388484 -2.391577 0.107139
C: -5.922207 -2.675082 -0.225556
H: -5.756982 -2.499868 -1.294417
H: -5.691340 -3.722666 -0.024524
H: -7.594629 -2.687695 1.137427
H: -8.034234 -2.973932 -0.552781
O: -7.657867 -0.473858 -1.389130
H: -6.728508 -0.455841 -1.649460
H: -8.765775 -0.734340 0.245716
H: -7.014645 0.990101 0.721132
H: -3.336902 -1.592436 1.830876
H: -3.744590 -3.297872 1.296575

Cartesian forces, eV/Å:
0.00 -0.03 0.07
0.13 -0.25 -0.11
-0.01 0.44 0.09
-0.43 -0.06 0.12
0.58 0.01 -0.21
-0.13 -0.02 -0.24
-0.02 -0.36 0.17
-0.06 0.14 -0.12
-0.07 -0.06 0.03
-0.07 -0.08 0.02
-0.04 0.01 -0.08
0.07 -0.09 0.02
0.10 -0.07 -0.02
0.04 -0.16 0.29
-0.01 0.06 -0.02
0.04 0.36 -0.38
-0.05 -0.29 0.06
-0.06 0.11 0.09
0.00 0.14 -0.08
0.11 0.06 0.08
-0.03 -0.08 -0.01
-0.03 -0.22 0.41
0.14 -0.07 -0.42
-0.05 0.01 0.07
0.04 -0.02 0.10
-0.40 -0.49 0.53
0.11 0.25 -0.15
0.08 0.00 -0.01
0.06 0.01 0.10

Merchants can accept credit cards from international and domestic cardholders, with the ease of only one merchant account. They can price in multiple currencies, target new markets and close more sales, helping turn international browsers into buyers.

Multi-currency with eCommerce

Merchants are able to increase their global revenue by accepting and processing payments from customers all around the world on their eCommerce stores.

Target new markets by pricing in multiple currencies while getting paid in your own! We provide payment gateways for US and Canadian merchants that are PCI compliant multi-currency payment solutions and complete end-to-end online credit card processing for web, iOS and Android mobile devices.

Benefits for shoppers

  • No surprises
    Customers see the exact amount of their purchase in their home currency at time-of-sale and on their statement.
  • Certainty
    Leisure travellers enjoy the certainty of knowing the final cost in the currency they understand best – their own.
  • Convenience
    Business travellers appreciate the convenience of accurate expense accounting.

How multi-currency works in a card-present environment

Molecular data, as found in the file.
┌──
The following is a DFT calculation (the ωB97M-V functional and the def2-TZVPD basis) of the molecule C6H13BFNO2 in a non-equilibrium geometry.

The geometry in XYZ format:
```
24
Properties=species:S:1:pos:R:3:nbo_charge:R:1
C -0.70107 1.66774 1.73133 -0.6180
O 1.87992 -0.15159 -1.42347 -0.9202
H -1.86653 -2.05894 -1.30608 0.2205
O 3.22312 -1.00125 0.39360 -0.8991
F 0.12690 -3.17187 -0.06506 -0.3188
C 0.21888 1.25534 0.53634 -0.0814
H 0.93699 2.14446 0.46229 0.2206
H -0.07910 0.96321 -1.58731 0.2348
C -0.52352 -2.06603 0.22995 0.3020
H -0.27157 -1.40891 -1.71640 0.2375
H -1.32358 2.01479 -0.64885 0.2094
N 1.09678 0.16107 0.89842 -0.6214
C -0.71072 1.11264 -0.72797 -0.4283
H 3.42460 -1.26971 1.27105 0.5109
H 2.68021 -0.13167 -1.86105 0.4845
H -0.95576 0.68736 2.20837 0.2052
H -1.58031 2.13342 1.45201 0.2006
C -1.04516 -1.40147 -0.97586 -0.5364
H -2.24055 0.06698 -1.78500 0.2232
H -2.28454 -0.00699 0.14588 0.2012
H -0.26853 -1.36488 1.10237 0.1944
B 2.05845 -0.41644 -0.00763 1.1544
H -0.11549 2.25545 2.49224 0.2144
C -1.67942 -0.01272 -0.81916 -0.3900
```

Calculated values
E_HOMO (alpha / beta): -9.511 / -7.842 eV
energy above the lowest of the compared OMol25 structures with the same formula, charge and spin: 55.3 kcal/mol
frontier orbital gap (alpha / beta): 10.03 / 6.69 eV

The following is a DFT calculation (the ωB97M-V functional and the def2-TZVPD basis) of a structure of composition C35H33ClIrN4S2Si2 in a non-equilibrium geometry.

The geometry in XYZ format:
```
78
Properties=species:S:1:pos:R:3:mulliken_spin:R:1
C -1.84352 0.76641 -3.74841 0.0000
H -1.43187 -1.29057 -2.10863 -0.0092
N 2.89042 3.67314 2.69234 0.1126
C -0.92361 -1.40869 0.06613 -0.0557
H 2.34767 -1.67070 -0.60883 0.0016
H 2.83026 0.57278 6.23726 0.0000
C 0.34647 -2.59185 3.60896 0.0587
H 1.91223 -3.28074 1.49080 0.0175
H 3.92076 4.04055 -3.87046 0.0006
C -5.71230 -1.79307 -1.73868 0.0004
C -1.13184 -3.67719 -0.51287 -0.0385
H -7.63449 -0.90436 -1.27543 0.0001
C -1.72119 1.71562 -4.75730 0.0010
H -0.40547 -3.68483 2.00617 -0.0026
C -0.35436 -2.55771 -0.63518 0.1964
C -3.72480 -0.47048 -1.29324 0.0040
H -4.14702 1.58058 -0.72023 0.0006
H 2.68834 4.37847 -1.68100 -0.0041
C -2.27582 -3.63896 0.27839 0.0903
C 2.72801 1.08376 5.28255 0.3048
C 3.41603 1.86619 -3.93194 0.0249
H 2.62437 1.92740 0.57586 0.0946
H 0.48782 -2.45436 -1.32331 0.0112
H -1.82443 1.42116 -5.79978 0.0000
C 3.57460 -0.37431 0.77852 0.2914
C -4.55934 0.59133 -0.94807 0.0056
H -3.74374 -2.57078 1.47508 0.0011
H 3.98341 1.70813 -4.84842 0.0008
C -1.58928 1.15379 -2.41557 0.0119
H 4.10621 0.24731 0.05090 0.0044
H 4.76976 -0.17694 2.64252 0.0059
S 3.69205 2.42868 4.86216 0.0914
C 1.91563 0.64739 4.20819 0.1029
C -4.32693 -1.63848 -1.77613 0.0064
C -6.55408 -0.77369 -1.32856 0.0030
H -1.48398 2.76860 -1.00452 0.0034
C -2.18056 -1.30546 0.82286 0.0275
Cl -0.15327 1.76472 0.98934 0.0868
C 2.46669 -1.30154 0.39979 0.1477
N -0.05380 -3.68391 2.95668 0.0663
H -1.25212 3.77625 -5.20179 -0.0001
└──

  • Eligible MasterCard® or Visa® transactions are automatically identified at the point-of-sale after the card is swiped or keyed.
  • The terminal prints the receipt displaying the transaction total in the local currency, the foreign exchange rate AND the customer’s home currency.
  • The customer selects their currency on the receipt and signs the receipt
  • The final amount on the customer’s receipt will match the amount on their credit card billing statement.

Benefits of Accepting Multi-Currency

  • Attract new, international customers
  • Encourage repeat business
  • Create personalized pricing experience
  • Offer superior customer service
  • Satisfied customers see the exact amount of their purchase in their home currency
  • Reduces chargebacks caused by customers not recognizing transactions


International Processing

Cross border processing solutions – offshore accounts

Given the globalization of the world economy, many merchants have widened their customer reach by selling products beyond their national borders: we encourage merchants to consider the benefits of allowing customers to pay in their native currencies, since it is proven that consumers prefer to shop and purchase in the currency they know the best: their own!

With their local presence in countries around the world, our partners deliver global, end-to-end payment processing solutions.

We help merchants improve operational efficiencies and control their overall cost of payment processing by not having to maintain multiple vendor relationships with different processes and reporting systems.

**What comes next are quantum chemistry results, not part of the article:**
The following is a DFT calculation (the ωB97M-V functional and the def2-TZVPD basis) of 4 unconnected molecules or ions with the total composition C18H44F3INO16P4 at a distorted geometry.

Structure (XYZ):
```
87
Properties=species:S:1:pos:R:3:forces:R:3
C 2.1509 -3.8848 0.6466 -0.015 -0.782 -0.121
P 2.1654 -4.5564 -1.1391 -0.486 -0.235 1.384
C 2.2238 -2.8584 -1.9948 0.175 0.276 0.218
N 2.6623 -1.7294 -1.1497 -0.299 -0.464 -0.270
C 4.1052 -4.8066 -1.0590 1.159 0.827 -0.733
C 4.7822 -5.0935 -2.3515 -0.571 -0.837 0.572
O 4.8414 -6.1076 -2.9419 0.196 -0.001 -0.213
I 5.8696 -3.3579 -3.2610 0.087 0.319 -0.064
O 2.0037 -5.1774 -2.7648 -0.123 -0.742 0.350
C 0.6941 -5.4407 -3.1609 -0.151 1.232 -0.037
C -0.3270 -4.9305 -2.0760 0.106 -1.804 1.179
O -1.1429 -6.0537 -1.6420 -0.507 -0.168 -0.740
C -1.3729 -3.9141 -2.5675 0.093 0.334 -0.157
C -1.4858 -2.6672 -1.6845 -0.277 0.103 -0.236
C -1.6830 -1.3668 -2.4444 0.768 -0.370 0.972
F -2.9955 -1.0433 -2.5668 -0.056 0.181 -0.381
F -1.1011 -0.3502 -1.7514 -0.372 0.207 -0.143
F -1.1235 -1.3388 -3.6609 -0.329 0.074 -0.128
O 0.3927 -4.6158 -0.9514 -0.129 1.453 -1.077
H 1.7612 -4.7137 1.2456 -0.011 0.013 -0.019
H 3.1430 -3.6564 1.0396 -0.090 0.353 -0.019
H 1.4543 -3.0581 0.7518 0.248 0.216 -0.003
H 2.1052 -5.9113 -0.6226 0.151 -0.017 -0.248
H 2.8361 -2.9696 -2.8964 0.047 -0.044 0.067
H 1.2197 -2.6136 -2.3542 -0.040 -0.173 0.055
H 2.5336 -0.8804 -1.6861 0.323 0.144 0.121
H 3.6480 -1.8581 -0.9538 0.056 0.323 -0.008
H 4.2932 -5.6560 -0.4028 -0.249 -0.174 -0.138
H 4.6224 -3.9536 -0.6163 -0.298 0.162 -0.039
H 0.5820 -4.8638 -4.0885 -0.484 -0.355 -0.168
H 0.4377 -6.4926 -3.3258 0.428 -0.088 -0.112
H -0.5276 -6.6985 -1.2755 0.076 0.138 0.104
H -1.1430 -3.6786 -3.6070 0.100 0.333 0.115
H -2.3527 -4.3881 -2.6023 0.126 -0.262 0.077
H -2.3541 -2.7732 -1.0329 0.043 0.104 0.072
H -0.6336 -2.5253 -1.0204 0.219 -0.221 -0.231
C -6.5930 -0.5977 -2.7510 -0.078 -0.003 -0.081
O -7.5835 0.3104 -2.2130 2.929 0.175 -0.103
P -7.0605 1.8136 -1.7730 -4.657 3.058 1.030
O -7.6740 2.0251 -0.4518 0.577 -0.411 0.006
O -7.8212 2.5882 -2.9764 0.299 0.030 -0.124
C -9.1681 2.2646 -3.3003 -0.029 -0.129 -0.202
O -5.8218 2.8776 -1.8158 0.975 -2.778 -0.644
C -4.7976 2.6827 -2.8154 0.066 0.067 -0.141
H -7.0882 -1.5343 -2.9901 -0.075 0.039 0.055
H -6.1553 -0.1858 -3.6634 0.032 -0.081 -0.007
H -5.8112 -0.7808 -2.0135 0.028 -0.098 -0.057
H -9.7543 2.0439 -2.4084 0.058 -0.032 0.043
H -9.1946 1.4168 -3.9852 -0.068 -0.067 0.070
H -9.5984 3.1278 -3.8048 0.080 0.060 0.050
H -5.2249 2.7266 -3.8190 -0.036 0.033 0.029
H -4.2935 1.7255 -2.6726 0.064 0.047 -0.003
H -4.0691 3.4811 -2.7052 -0.074 0.037 0.086
C -2.3820 1.1126 2.0279 -0.019 -0.037 0.179
O -1.0765 1.1255 2.6457 -1.524 1.587 -2.672
P 0.0845 2.1669 2.0331 5.523 -1.993 4.774
O 1.2060 1.1944 2.0060 -0.561 0.031 -0.747
O 0.0836 3.1107 3.3544 -0.289 0.496 -0.529
C -0.0806 2.5631 4.6592 -0.334 0.113 0.180
O 0.8175 3.3643 1.1504 -3.148 -0.174 -1.211
C -0.0074 4.4142 0.6067 0.038 0.188 0.091
**So much for the quantum chemistry results:**

Whether your company is located in the USA, in Europe or anywhere in the world, we can find customized solutions for your needs.

Currencies accepted / Bank account requirements

  • Over 150 currencies accepted
  • Settlement available in over 15 different currencies
  • Bank account can be located anywhere in the world

Types of Cards accepted

  • Visa, Mastercard, American Express
  • Local Payment methods in some countries

Types of Businesses accepted

  • Any legal business operating over the phone, mail, or Internet)
  • “High Risk” profiles can be approved on a case by case basis
  • Card Present merchants located outside of the USA can be approved on a case by case basis
  • Merchants without US Social Security numbers